Taipei to see 20,000 ping of new office stock in 2023
Two office projects were postponed to 2024.
The overall office vacancy rate of Taipei as of 1Q23 has increased to 2.7%, which is 10 basis points higher than the previous quarter. JLL says although the vacancy rate is rising, it is still relatively low since it is below 3%.
The vacancy rates in the submarkets Xinyi and Dunhua S. are both still not greater than 2%, indicating that the office space in core areas is still short in supply.
Here’s more from JLL:
Two projects, namely the Taipei Dome in Xinyi and the Huang Hsiang Taipei Main Station Building in the Others submarket, which were scheduled to be completed by 2023, are expected to be postponed to 2024. As a result, the total office units that were anticipated to be available in Taipei in 2023 have been reduced from the initial 45,000 ping to 20,000 ping.
**Attached: materials data**
Record 1
# Tm5In3
Theoretical powder diffractogram, Cu Ka. Input: a GGA-PBE-relaxed structure.

Main lines, sorted by position (10 to 90 degrees two-theta):
2theta	intensity
30.04	14
31.57	100
34.08	21
35.61	48
38.57	12
51.13	12
53.50	12
55.50	9
65.41	13
66.25	19

Cell and atoms:
a b c (Å): 8.990 8.990 8.990
angles (deg): 127.36 127.36 77.67
Sites, in units of the cell vectors:
Tm 0.000 0.000 0.000
Tm 0.007 0.507 0.820
Tm 0.187 0.007 0.500
Tm 0.313 0.813 0.820
Tm 0.493 0.313 0.500
Tm 0.500 0.500 0.000
Tm 0.507 0.687 0.500
Tm 0.687 0.187 0.180
Tm 0.813 0.993 0.500
Tm 0.993 0.493 0.180
In 0.133 0.367 0.500
In 0.250 0.250 0.000
In 0.367 0.867 0.233
In 0.633 0.133 0.767
In 0.750 0.750 0.000
In 0.867 0.633 0.500

Record 2
# Tm3In5
Theoretical powder diffractogram, Cu Ka. Input: a GGA-PBE-relaxed structure.

Main lines, sorted by position (10 to 90 degrees two-theta):
2theta	intensity
33.75	100
34.40	19
34.80	55
36.73	23
39.13	15
39.71	15
51.47	13
58.49	12
61.67	16
67.70	17

Cell and atoms:
a b c (Å): 6.321 6.321 10.321
angles (deg): 90.00 90.00 78.54
Sites, in units of the cell vectors:
Tm 0.111 0.889 0.750
Tm 0.293 0.293 0.000
Tm 0.293 0.293 0.500
Tm 0.707 0.707 0.000
Tm 0.707 0.707 0.500
Tm 0.889 0.111 0.250
In 0.007 0.432 0.750
In 0.196 0.804 0.042
In 0.196 0.804 0.458
In 0.432 0.007 0.250
In 0.500 0.500 0.250
In 0.500 0.500 0.750
In 0.568 0.993 0.750
In 0.804 0.196 0.542
In 0.804 0.196 0.958
In 0.993 0.568 0.250

Record 3
# Tm3In
Theoretical powder diffractogram, Cu Ka. Input: a GGA-PBE-relaxed structure.

Main lines, sorted by position (10 to 90 degrees two-theta):
2theta	intensity
32.44	100
35.85	19
38.50	31
53.62	24
55.58	11
62.29	15
65.85	26
67.93	12
88.27	12
88.58	6

Cell and atoms:
a b c (Å): 4.677 4.677 10.020
angles (deg): 90.00 90.00 90.00
Sites, in units of the cell vectors:
Tm 0.000 0.000 0.000
Tm 0.000 0.500 0.250
Tm 0.000 0.500 0.750
Tm 0.500 0.000 0.250
Tm 0.500 0.000 0.750
Tm 0.500 0.500 0.500
In 0.000 0.000 0.500
In 0.500 0.500 0.000

Record 4
# Tm2In
Theoretical powder diffractogram, Cu Ka. Input: a GGA-PBE-relaxed structure.

Main lines, sorted by position (10 to 90 degrees two-theta):
2theta	intensity
33.25	97
33.71	100
48.08	35
55.31	8
60.00	36
60.29	19
66.36	28
70.89	12
80.58	15
86.29	14

Cell and atoms:
a b c (Å): 5.317 5.317 6.644
angles (deg): 90.00 90.00 120.00
Sites, in units of the cell vectors:
Tm 0.000 0.000 0.000
Tm 0.000 0.000 0.500
Tm 0.333 0.667 0.250
Tm 0.667 0.333 0.750
In 0.333 0.667 0.750
In 0.667 0.333 0.250

Record 5
# YTm2In3
Theoretical powder diffractogram, Cu Ka. Input: a GGA-PBE-relaxed structure.

Main lines, sorted by position (10 to 90 degrees two-theta):
2theta	intensity
33.29	100
35.96	41
43.57	12
51.76	14
57.72	20
62.95	31
69.91	11
73.44	10
85.77	7
87.29	6

Cell and atoms:
a b c (Å): 3.532 3.532 12.465
angles (deg): 90.00 90.00 90.00
Sites, in units of the cell vectors:
Y 0.000 0.000 0.000
Tm 0.000 0.000 0.335
Tm 0.000 0.000 0.665
In 0.500 0.500 0.170
In 0.500 0.500 0.500
In 0.500 0.500 0.830
**End of the materials data**
The challenging economy slows down leasing activity
Next to the entry, the page also holds data records >
=====
Diffraction record for NpMoO6. The X-ray powder pattern is simulated, not measured: it uses DFT lattice parameters and positions (GGA+U) and CuKα.

Top 8 peaks for 2θ = 10–90°, sorted by position:
hkl  two_theta  Rel. int.
1 0 0  18.5  21.6
1 1 0  26.3  66.4
1 0 2  28.5  100.0
2 1 2  47.8  55.1
1 1 4  51.8  20.7
2 2 0  54.1  13.8
2 0 4  59.0  14.5
3 0 2  62.3  13.6

Structural model:
Unit cell a=4.794 b=4.794 c=8.271 alpha=90.00 beta=90.00 gamma=90.00
Space group P4_2/mcm (No. 132)
Symmetry-distinct sites (fractional):
Np  0.000  0.000  0.250 x2
Mo  0.500  0.500  0.000 x2
O  0.222  0.222  0.000 x4
O  0.272  0.272  0.337 x8

~~~~~

1.
The following is a computed powder diffractogram of NdLu2Al7Ag2. It was derived from a crystal structure in OQMD, relaxed with GGA-PBE, using λ = 1.5418 Å (Cu Kα).

```
data_NdLu2Al7Ag2
_chemical_formula_sum 'Nd3 Lu6 Al21 Ag6'
_cell_length_a 5.5394
_cell_length_b 5.5394
_cell_length_c 26.2697
_cell_angle_alpha 90.00
_cell_angle_beta 90.00
_cell_angle_gamma 120.00
_symmetry_space_group_name_H-M 'R -3 m'
_symmetry_Int_Tables_number 166
_symmetry_space_group_name_Hall '-R 3 2"'
loop_
_atom_site_label
_atom_site_type_symbol
_atom_site_fract_x
_atom_site_fract_y
_atom_site_fract_z
_atom_site_occupancy
Nd1 Nd 0.0000 0.0000 0.0000 1
Lu1 Lu 0.0000 0.0000 0.1425 1
Al1 Al 0.0000 0.0000 0.5000 1
Al2 Al 0.0080 0.5040 0.9150 1
Ag1 Ag 0.0000 0.0000 0.3355 1
```

Peak list (10 most intense, 2θ from 5° to 70°, in order of rising 2θ)
2θ/deg, intensity, hkl
18.8, 20, 1 0 1
20.3, 38, 0 0 6
23.0, 23, 1 0 4
30.2, 30, 1 0 7
32.3, 87, 1 1 0
33.1, 19, 0 1 8
38.5, 100, 1 1 6
61.8, 24, 0 3 6
62.8, 17, 1 1 15
67.7, 17, 2 2 0

=====

2.
The following is a computed powder diffractogram of CsTbFeS3. It was derived from a crystal structure in OQMD, relaxed with GGA-PBE, using λ = 1.5418 Å (Cu Kα).

```
data_CsTbFeS3
_chemical_formula_sum 'Cs4 Tb4 Fe4 S12'
_cell_length_a 15.617
_cell_length_b 4.014
_cell_length_c 10.743
_cell_angle_alpha 90.00
_cell_angle_beta 90.00
_cell_angle_gamma 90.00
_symmetry_space_group_name_H-M 'P n m a'
_symmetry_Int_Tables_number 62
loop_
_symmetry_equiv_pos_as_xyz
'x,y,z'
'-x,-y,-z'
'-x+1/2,-y,z+1/2'
'x+1/2,y,-z+1/2'
'x+1/2,-y+1/2,-z+1/2'
'-x+1/2,y+1/2,z+1/2'
'-x,y+1/2,-z'
'x,-y+1/2,z'
loop_
_atom_site_label
_atom_site_type_symbol
_atom_site_fract_x
_atom_site_fract_y
_atom_site_fract_z
_atom_site_occupancy
Cs1 Cs 0.236 0.250 0.025 1
Tb1 Tb 0.014 0.250 0.344 1
Fe1 Fe 0.011 0.750 0.087 1
S1 S 0.071 0.750 0.888 1
S2 S 0.089 0.250 0.571 1
S3 S 0.114 0.750 0.238 1
```

Peak list (10 most intense, 2θ from 5° to 70°, in order of rising 2θ)
2θ/deg, intensity, hkl
11.3, 85, 2 0 0
20.1, 57, 2 0 2
22.8, 70, 4 0 0
28.3, 63, 1 1 2
29.3, 100, 3 1 1
32.7, 62, 3 1 2
33.1, 34, 4 1 1
35.3, 46, 2 0 4
40.3, 38, 5 1 2
49.5, 41, 2 1 5

=====

3.
The following is a computed powder diffractogram of LaYHg6. It was derived from a crystal structure in OQMD, relaxed with GGA-PBE, using λ = 1.5418 Å (Cu Kα).

```
data_LaYHg6
=====
The challenging economic environment has delayed the decision-making process of many companies concerning the allocation of office space. Moreover, affected by new work styles such as “remote” and “work-from-home”, many companies have also re-examined their office space allocation strategies. Some enterprises have shown signs of adjusting their office space in the quarter.
Legislative Yuan passed the “Climate Change Response Law” in 1Q23, which would become the standard for carbon-related regulations in the future. Based on this law, Taiwan is about to introduce a carbon emission fee as soon as 2024. Therefore, the demand for green-certified buildings is likely to increase, and potentially become a long-term trend for the office sector.
NER breaks record high to hit NTD 2,803 per ping, per month
== The text is interrupted by crystal structures ==
No. 1
ScMnNi5: calculated powder diffraction line list (copper Kα), based on a PBE-relaxed structure.

Peak list (12 most intense, 10° ≤ 2θ ≤ 90°, low angle first)
Position (°2θ)	I_rel
23.87	13
38.16	17
38.43	27
40.87	100
42.51	18
46.00	37
47.72	31
47.90	69
48.87	20
49.02	43
70.80	16
75.99	21

Cell and atoms:
```
ScMnNi5
1.0
7.7426 0.0000 0.0000
0.0000 4.7170 0.0000
0.0000 0.0000 9.8310
Sc Mn Ni
4 4 20
Direct
0.2488 0.2500 0.0585
0.2512 0.7500 0.5585
0.7488 0.2500 0.4415
0.7512 0.7500 0.9415
0.1391 0.7500 0.8558
0.3609 0.2500 0.3558
0.6391 0.7500 0.6442
0.8609 0.2500 0.1442
0.0487 0.7500 0.0893
0.0650 0.0055 0.3078
0.0650 0.4945 0.3078
0.1014 0.2500 0.5185
0.1894 0.2500 0.7515
0.3106 0.7500 0.2515
0.3986 0.7500 0.0185
0.4350 0.5055 0.8078
0.4350 0.9945 0.8078
0.4513 0.2500 0.5893
0.5487 0.7500 0.4107
0.5650 0.0055 0.1922
0.5650 0.4945 0.1922
0.6014 0.2500 0.9815
0.6894 0.2500 0.7485
0.8106 0.7500 0.2485
0.8986 0.7500 0.4815
0.9350 0.5055 0.6922
0.9350 0.9945 0.6922
0.9513 0.2500 0.9107
```

---

No. 2
Y2Pd7Pt: calculated powder diffraction line list (copper Kα), based on a PBE-relaxed structure.

Peak list (12 most intense, 10° ≤ 2θ ≤ 90°, low angle first)
Position (°2θ)	I_rel
12.22	15
37.43	99
38.47	100
40.33	28
42.05	38
49.53	32
59.68	17
66.94	26
73.79	14
74.45	14
78.12	22
84.07	16

Cell and atoms:
```
Y2Pd7Pt
1.0
-2.1487 2.8429 7.2440
2.1487 -2.8429 7.2440
2.1487 2.8429 -7.2440
Y Pd Pt
2 7 1
Direct
0.1951 0.1951 0.0000
0.8049 0.8049 0.0000
0.0000 0.0000 0.0000
0.1532 0.4009 0.7523
0.3195 0.8195 0.5000
0.3515 0.5991 0.7523
0.6485 0.4009 0.2477
0.6805 0.1805 0.5000
0.8468 0.5991 0.2477
0.5000 0.0000 0.5000
```

---

No. 3
Li2AgC2O6: calculated powder diffraction line list (copper Kα), based on a PBE-relaxed structure.

Peak list (12 most intense, 10° ≤ 2θ ≤ 90°, low angle first)
Position (°2θ)	I_rel
14.82	100
20.14	60
20.74	23
23.79	43
25.25	24
25.92	61
27.03	95
33.64	29
35.20	29
36.18	25
40.25	25
42.22	28

Cell and atoms:
```
Li2AgC2O6
1.0
4.8350 0.0000 0.0000
2.3363 4.4693 0.0000
0.7038 0.9935 5.9765
Li Ag C O
2 1 2 6
Direct
0.2019 0.0482 0.3473
0.7981 0.9518 0.6527
0.5000 0.5000 0.0000
0.1427 0.2840 0.7456
0.8573 0.7160 0.2544
0.1038 0.4711 0.2163
0.1291 0.0641 0.6790
0.4181 0.2601 0.7720
0.5819 0.7399 0.2280
0.8709 0.9359 0.3210
0.8962 0.5289 0.7837
```
Despite the deceleration in leasing momentum, rent in Taipei has continued to increase. This is possibly due to the stronger bargaining power of landlords regarding the new leases. The net effective rent (NER) of prime offices in Taipei has reached NTD 2,803 per ping, per month. Notably, Xinyi District was the most significant contributor to rent growth, with a y-o-y increase of 2.8%.
Office market rents have remained resilient despite the slowdown in leasing activities. The upward trend is expected to persist until new supply is released into the market. Currently, landlords hold the bargaining advantage due to the shortage of supply. Since 20,000 ping of new supply will be released in 2H23, further observation is needed to determine if the current trend will continue.
Outlook: Challenging environment amid economic uncertainties
The office market is facing fluctuations due to macroeconomic uncertainties in 2023. The central bank has raised the discount rate by 12.5 basis points in 1Q23, bringing the current rate to 1.875%. Additionally, it has also revised the forecast GDP growth rate downward to 2.21%, indicating a slowdown in economic activities. Therefore, the office market may encounter some challenges in 2023.
The negative absorption volume witnessed in 1Q23 indicates that the office market may also encounter some challenges. However, because office spaces are currently in short supply, the market does not show any signs of a downward trend in demand. Further observation of the demand trend is needed, with regard to absorption volume, after new supply is released to the market in 2H23.
Note: Taipei Office refers to Taipei's overall Grade A office market.